File:
/*
Version a
# GGA-PBE InCu2Ni2, optimized geometry
# Size of the total moment: 0.0 Bohr magnetons per cell
data_InCu2Ni2
_space_group_name_H-M_alt 'P -3 m 1'
_space_group_IT_number 164
_space_group_name_Hall '-P 3 2"'
_cell_length_a 4.1982
_cell_length_b 4.1982
_cell_length_c 4.8425
_cell_angle_alpha 90.00
_cell_angle_beta 90.00
_cell_angle_gamma 120.00
loop_
_atom_site_label
_atom_site_type_symbol
_atom_site_fract_x
_atom_site_fract_y
_atom_site_fract_z
In1 In 0.0000 0.0000 0.0000
Cu1 Cu 0.3333 0.6667 0.3626
Ni1 Ni 0.3333 0.6667 0.8529


Version b
# GGA-PBE InCu2Ni2, optimized geometry
# Size of the total moment: 0.0 Bohr magnetons per cell
data_InCu2Ni2
_space_group_name_H-M_alt 'I 4/m m m'
_space_group_IT_number 139
_space_group_name_Hall '-I 4 2'
_cell_length_a 3.562
_cell_length_b 3.562
_cell_length_c 11.268
_cell_angle_alpha 90.00
_cell_angle_beta 90.00
_cell_angle_gamma 90.00
loop_
_atom_site_label
_atom_site_type_symbol
_atom_site_fract_x
_atom_site_fract_y
_atom_site_fract_z
In1 In 0.000 0.000 0.000
Cu1 Cu 0.000 0.000 0.394
Ni1 Ni 0.000 0.500 0.250


Version c
# GGA-PBE InCu2Ni2, optimized geometry
# Size of the total moment: 0.0 Bohr magnetons per cell
data_InCu2Ni2
_space_group_name_H-M_alt 'P 4/m b m'
_space_group_IT_number 127
_space_group_name_Hall '-P 4 2ab'
_cell_length_a 6.797
_cell_length_b 6.797
_cell_length_c 2.948
_cell_angle_alpha 90.00
_cell_angle_beta 90.00
_cell_angle_gamma 90.00
loop_
_atom_site_label
_atom_site_type_symbol
_atom_site_fract_x
_atom_site_fract_y
_atom_site_fract_z
In1 In 0.000 0.000 0.000
Cu1 Cu 0.164 0.336 0.500
Ni1 Ni 0.128 0.628 0.000


Version d
# GGA-PBE InCu2Ni2, optimized geometry
# Size of the total moment: 0.0 Bohr magnetons per cell
data_InCu2Ni2
_space_group_name_H-M_alt 'P 4/m b m'
_space_group_IT_number 127
_space_group_name_Hall '-P 4 2ab'
_cell_length_a 6.891
_cell_length_b 6.891
_cell_length_c 2.841
_cell_angle_alpha 90.00
_cell_angle_beta 90.00
_cell_angle_gamma 90.00
loop_
_atom_site_label
_atom_site_type_symbol
_atom_site_fract_x
_atom_site_fract_y
_atom_site_fract_z
In1 In 0.000 0.000 0.000
Cu1 Cu 0.125 0.375 0.000
Ni1 Ni 0.170 0.670 0.500


According to the calculations, the structures order from most to least stable as version d, version c, version a, version b.


Version a
# GGA-PBE InCuNi, optimized geometry
# Size of the total moment: 0.0 Bohr magnetons per cell
data_InCuNi
_space_group_name_H-M_alt 'P 3 m 1'
_space_group_IT_number 156
_cell_length_a 2.9843
_cell_length_b 2.9843
_cell_length_c 6.0368
_cell_angle_alpha 90.00
_cell_angle_beta 90.00
_cell_angle_gamma 120.00
loop_
_space_group_symop_operation_xyz
'x,y,z'
'-y,x-y,z'
'-x+y,-x,z'
'-y,-x,z'
'-x+y,y,z'
'x,x-y,z'
loop_
_atom_site_label
_atom_site_type_symbol
_atom_site_fract_x
_atom_site_fract_y
_atom_site_fract_z
In1 In 0.0000 0.0000 0.0000
Cu1 Cu 0.3333 0.6667 0.6342
Ni1 Ni 0.6667 0.3333 0.3377


Version b
# GGA-PBE InCuNi, optimized geometry
# Size of the total moment: 0.0 Bohr magnetons per cell
data_InCuNi
_space_group_name_H-M_alt 'P 3 m 1'
_space_group_IT_number 156
_cell_length_a 4.2301
_cell_length_b 4.2301
_cell_length_c 2.8584
_cell_angle_alpha 90.00
_cell_angle_beta 90.00
_cell_angle_gamma 120.00
loop_
_space_group_symop_operation_xyz
'x,y,z'
'-y,x-y,z'
'-x+y,-x,z'
'-y,-x,z'
'-x+y,y,z'
'x,x-y,z'
loop_
_atom_site_label
_atom_site_type_symbol
_atom_site_fract_x
_atom_site_fract_y
_atom_site_fract_z
In1 In 0.0000 0.0000 0.0000
Cu1 Cu 0.3333 0.6667 0.5582
Ni1 Ni 0.6667 0.3333 0.4566


Version c
# GGA-PBE InCuNi, optimized geometry
# Size of the total moment: 0.0 Bohr magnetons per cell
data_InCuNi
_space_group_name_H-M_alt 'I 4 m m'
_space_group_IT_number 107
_space_group_name_Hall 'I 4 -2'
_cell_length_a 3.151
_cell_length_b 3.151
_cell_length_c 8.805
_cell_angle_alpha 90.00
_cell_angle_beta 90.00
_cell_angle_gamma 90.00
loop_
_atom_site_label
_atom_site_type_symbol
_atom_site_fract_x
_atom_site_fract_y
_atom_site_fract_z
In1 In 0.000 0.000 0.000
Cu1 Cu 0.000 0.000 0.685
Ni1 Ni 0.000 0.000 0.324
*/
Activity:
Count the lines earlier on that contain the word "magnetons" and give the number alone, please.
Reply:
7